Status: completed; sequel 'Battling the Loss You Live For' is now running.

Smiles Echo In My Memory


About an hour later, Frank, Rhea and I were sat at a table, cutting up material for our garments. Rhee had settled on a teal blue silk for her dress and I and Frank were cutting out pockets from grey material for our hoodies.
Suddenly, I threw down my scissors and frantically started to rub my fingers, trying to rub away the searing pain.
AHHH, ARITHIRITIS!” Frank shot me a concerned look, and then turned to Rhea. “What the fuck?! Is she okay?” Rhea rolled her eyes and grabbed my hand, rubbing it gently. “She has ‘arthritis’,” she stated, making air quotes with her free hand.
“You don’t fucking know the pain, bitches,” I mumbled, feeling the pain etch away. Frank just looked at us like we were crazy. “I don’t understand. You have arthritis? I thought you get that when you’re old…?”
“Well, I don’t know. I don’t think it’s actually arthritis, but my bones just cramp up and start curling in, and it hurts like a bitch,” I stated, pulling my hand away from Rhee’s grasp.
“You’re fucking weird,” Frank muttered under his breath, shaking his head.
“You don’t know the half of it,” Rhea replied to him in a whisper, earning a chuckle from Frank.
“Fuck you guys,” I said, smirking.

After Textiles, it was the end of the school day. As soon as the bell rang, Rhea dropped everything she was holding, grabbed her over-sized shoulder bag and ran towards the door before anyone else had even registered the bell went.
“Don’t say bye, then!” I called after her, placing my scissors on the table in front of me and crossing my arms. She didn’t seem to hear, and was out of the room in a flash.
“Walking home?” I asked, turning to Frank who was next to me. He nodded, putting away his stuff.
We started to walk home together, moving quickly before the hallways got congested full of kids and teachers. We reached the gates and started to walk down the huge hill our school was perched on, linking arms. “What lessons do we have tomorrow?” I asked, looking over at him.
“Umm… Hang on…” he reached into his back pocket, pulling out a crumpled timetable. He passed it to me, and I opened it carefully.

Frank A. Iero
Lesson Plan
Weeks A, B

Mon Ad.Sci(J.L), Math(T.B), Tex(L.C)
Tue Med.Stu(D.F), Math(T.B), RS(J.T)
Wed Math(T.B), RS(J.T), Drama(E.T)
Thu Sci(J.L), Math(T.B), Pysc(A.F)
Fri Drama(E.T), PE(//), Eng(A.K)

Mon Tex(L.C), Pysc(A.F), Ad.Sci(J.L)
Tue Med.Stu(D.F), Eng(A.K), PE(///)
Wed Eng(A.K), RS(J.T), Med.Stu(D.F)
Thu Ad.Sci(J.L), Pysc(A.F), Sci(J.L)
Fri Tex(L.C), Drama(E.T), Sci(J.L)

• Next to the text, the page also holds calculated molecules:
(1)
C3H8NS2 | ωB97M-V with the def2-TZVPD basis set

Element x y z (Å)
C (2.56132, -0.41854, -0.38075)
C (0.22504, 0.54486, -0.36215)
C (-2.13145, -0.14422, 0.22141)
N (-0.81737, 0.32028, 0.67561)
S (1.87485, 1.10461, 0.35928)
S (0.90378, -1.11277, -0.91443)
H (3.15119, -0.25938, -1.34065)
H (3.24060, -0.98559, 0.25570)
H (-0.19409, 1.17801, -1.13368)
H (-3.11815, 0.46075, 0.35733)
H (-2.12440, -0.21853, -0.88079)
H (-2.32842, -1.14120, 0.54933)
H (-0.47555, -0.49043, 1.23857)
H (-0.76735, 1.16215, 1.35520)

Calculated values
Gap between HOMO and LUMO   9.768 eV
Total energy   -969.92776 Ha
HOMO level   -13.818 eV
ΔE to the lowest compared entry with this formula, charge and spin   116.91 kJ/mol
Charge   +1
F_max   0.0779 hartree/bohr

---

(2)
C3H8NSi | ωB97M-V with the def2-TZVPD basis set

Element x y z (Å)
C (2.46754, -0.35318, -1.22659)
C (1.39539, -0.61223, -0.35002)
N (0.45406, -0.67659, 0.34525)
Si (-1.40423, -0.63807, 0.75386)
C (-1.58490, 1.26872, 0.55008)
H (2.01910, -0.07891, -2.22136)
H (3.17489, 0.46038, -0.87811)
H (3.01577, -1.33255, -1.38231)
H (-1.99785, -1.84852, 0.19834)
H (-1.32696, -0.73273, 2.19264)
H (-1.05701, 1.73398, 1.40791)
H (-0.93715, 1.78859, -0.28017)
H (-2.64169, 1.56741, 0.49213)

Calculated values
Gap between HOMO and LUMO   11.684 eV
Total energy   -463.07329 Ha
HOMO level   -15.711 eV
Structure (SMILES)   CC#[N+][SiH2]C
ΔE to the lowest compared entry with this formula, charge and spin   8.80 kJ/mol
Charge   +1
F_max   0.0835 hartree/bohr

---

(3)
C3H8O | ωB97M-V with the def2-TZVPD basis set

Element x y z (Å)
C (-2.07823, -0.01325, 0.69528)
C (-1.05420, -0.19227, -0.50784)
O (-0.86302, 0.62040, -1.47628)
H (-2.42643, 0.99120, 0.92726)
H (-1.34509, -0.16698, 1.51457)
H (-2.79507, -0.86131, 0.74414)
H (-0.14202, -0.81115, -0.17374)
C (2.11238, 0.09434, -0.32873)
H (1.71206, -0.88461, -0.85216)
H (3.03877, 0.37930, -0.96046)
H (2.32438, -0.18440, 0.65507)
H (1.51648, 1.02872, -0.23712)

Calculated values
Gap between HOMO and LUMO   10.544 eV
Total energy   -194.26897 Ha
HOMO level   -9.897 eV
Structure (SMILES)   CC=O.C
ΔE to the lowest compared entry with this formula, charge and spin   175.85 kJ/mol
Charge   0
F_max   0.1066 hartree/bohr

---

(4)
C3H8O2 | ωB97M-V with the def2-TZVPD basis set

Element x y z (Å)
C (-0.06073, -0.00928, 0.03446)
C (-1.13865, -0.78454, 0.11624)
C (-1.29935, -1.83804, 1.14645)
O (-2.23854, -0.61336, -0.78488)
H (0.81959, -0.19624, 0.61739)
H (0.17552, 0.83191, -0.57704)
H (-1.47912, -1.27638, 2.13403)
H (-2.12956, -2.63470, 1.10040)
H (-0.43355, -2.36555, 1.46528)
H (-1.94247, -0.30178, -1.70551)
O (3.35918, 2.95576, -0.86227)
H (3.80949, 3.53983, -1.48500)
H (2.55818, 2.69237, -1.19954)

Calculated values
Gap between HOMO and LUMO   9.735 eV
Total energy   -269.52502 Ha
HOMO level   -9.013 eV
Structure (SMILES)   C=C(C)O.O
ΔE to the lowest compared entry with this formula, charge and spin   183.43 kJ/mol
Charge   0
F_max   0.0714 hartree/bohr

---

(5)
• End of the calculated molecules:

“So, tomorrow, we have Media Studies, Maths, and RE,” I stated, examining the ‘WEEK A’ section carefully.
“How the fuck do you read that?” Frank questioned, his eyebrows furrowed.
“Well, basically, the letters in brackets are the teachers’ initials. RS is really RE, but they wanted to change ‘Religious Education’ to ‘Religious Studies’ for some reason I don’t understand. But everyone still calls it RE. They changed every lesson apart from Maths and Drama to the abbreviation, because they’re weird like that,” I explained, pointing at the timetable when relevant. Frank still had a lost look, scanning the piece of paper. “I think I get it,” he said slowly, taking the crumpled sheet from my hands. I smiled. “You’ll get used to it.”

“What your middle name?” I asked, breaking the silence. We just crossed a road and were making our way towards the entrance of Preston Park.
He sent me a funny look. “Anthony. Why?”
“It said ‘Frank A. Iero’ on your timetable and it was anoyying me,” I said, smiling.
We’d got to Preston, and as soon as we entered the huge brick arch, we heard slurring of words, and the occaisonal bark of a laugh. The roughness of the voices were unnerving, and made the hairs on the back of your neck stand up. I felt Frank shiver beside me, and I knew he felt the same. I looked over at him, grasping his hand. He squeezed it in reassurance, wrapping his other arm around my waist in protection. We held that position, with Frank’s right hand wrapped around me and my right hand and his left interlocked while we walked.
Then, we saw them. There were 3 tall, big, heavy men standing and stumbling around, beer and larger bottles and cans scattered all around them. Blood and alcohol stains were on their shirts, scars lining their faces, as well as blood.
It scared the shit out of me, and I hoped that the blood was theirs.
Frank tightened his grip on me, and I felt his body tense up. He held his breath, and started walking towards them, to go through them. I followed his lead, and kept my head down, hoping, praying, they wouldn’t do anything. They didn’t and we got to the other side of the park – the open, safe part. Frank let out a juddering breath, and fought to keep his breathing normal.
“Frank?! Are you okay?” I asked quickly, spinning around to face him. He shook his head vigourously, yanking out his cigarettes from his pocket, lit one and exhaled slowly. His behaviour scared me, and I was stuck on what to do. Frank looked at me, and sighed. “I’m sorry. I’m freaking you out,” he whispered, bowing his head down. I looked up at him, and wrapped my arms around him.
“What’s wrong?”
“I… I can’t tell you… I- It’s too soon,” he stuttered, whispering again, taking a drag on his cigarette. I nodded, and nuzzled my face into his neck. He smelt like cigarettes and… Frank. It was settling, comforting. He kept one arm around my waist, and the other at my hip, the cig dangling from two fingers. “We’d better go,” he whispered into my ear, his breathing normal again. I nodded slowly into his neck, and pulled away. He gripped my left hand, and we started to walk towards the edge of the park.
When we got there, I stopped and pointed out my house. “I live there,” my house was directly opposite Preston, and inclosed in a private area. It was nice, because it was in the centre of Brighton, but dangerous because of the same reason. Frank nodded, stubbing out his cancer stick. “I have to go right,” he said, looking up from the floor.
“Okay. Knock for me in the morning?”
“Yeah, okay. I’ll see you tomorrow, Sazzy,” he replied, pecking me swiftly on the cheek. I returned it, smiling. “Bye, Frankie.”
I quickly crossed the main road, and pushed my way through the big black iron gate to the private block of houses. I saw Frankie waiting for me to go in, and I waved as I unlocked the front door. He waved back, and I stepped in, closing the door.
♠ ♠ ♠
I don't like this chapter, to be honest, but it was kinda necessary.
And my spell check on word just fucked up! It just didn't want to work, and I'm going crazy trying to fix it.

And no, Sheesh, three comments from three different people!
I think... 3 comments again, and an update?
Thanks for the comments, by the way!

Does anyone know what Franks' first tattoo was?
And, do you think mobile phones were around in England, in 1997? (I know that may seem like a stupid question, but I don't remember them being around then... Or I don't think they were, anyways!)